I first started blogging on ideas relating to economics, finance, investments and housing following an invitation from Business Spectator Please note that I may have an economic interest in any of the items discussed here. The market was in an upward trend in the 1920’s and investments in shares were on the increase. This phase can be recognized by the saturation of the stock market and the increasing competition. As with many market reversals, the causes are numerous, intertwined, and controversial.
== Records of molecules that have nothing to do with the entry ==
____________
This record from the OMol25 dataset describes a 2-piece molecular cluster, C21H48BN overall. The level of theory is ωB97M-V/def2-TZVPD.

The spin multiplicity is 1.

Each line ends with the Mulliken charge.
Atoms and positions in Å:
B: -1.3998 -4.1606 2.6495  0.260
C: -0.8597 -3.2946 1.3642  -0.172
C: -0.0163 -2.0863 1.7715  -0.953
C: 0.3040 -1.0853 0.6538  -0.164
C: -0.9087 -0.6716 -0.1923  -0.167
C: -2.0836 -0.2137 0.6805  0.190
C: -3.1553 0.6200 -0.0384  -1.149
C: -4.4996 -0.0788 -0.3067  -0.501
C: -5.1447 -0.7454 0.9270  -1.093
C: -5.0516 -2.2734 1.0980  -0.005
C: -5.3725 -3.0894 -0.1631  -0.952
C: -4.1543 -3.5129 -0.9908  0.669
C: -4.5536 -4.1490 -2.3209  -1.580
H: -0.4445 -4.4316 3.3979  -0.230
H: -2.2289 -3.4700 3.2731  -0.194
H: -1.9380 -5.2167 2.2793  -0.254
H: -0.2509 -3.9318 0.6950  0.094
H: -1.7239 -2.9522 0.7809  -0.508
H: -0.4927 -1.5507 2.6069  0.161
H: 0.9275 -2.4813 2.1770  0.515
H: 1.0843 -1.5058 -0.0023  0.375
H: 0.6996 -0.1545 1.0925  0.007
H: -0.6313 0.1752 -0.8497  -0.091
H: -1.1954 -1.4920 -0.8589  0.207
H: -2.5404 -1.0851 1.1532  -0.146
H: -1.6573 0.3685 1.5111  0.509
H: -2.7534 0.9669 -1.0045  0.328
H: -3.3609 1.5312 0.5405  0.309
H: -5.1861 0.6969 -0.6717  0.317
H: -4.4092 -0.7950 -1.1312  0.362
H: -4.7249 -0.2614 1.8214  0.403
H: -6.2139 -0.5014 0.9306  0.391
H: -4.0833 -2.5867 1.5130  -0.068
H: -5.7866 -2.5329 1.8693  0.362
H: -6.0677 -2.5205 -0.7982  0.278
H: -5.8943 -4.0035 0.1425  0.497
H: -3.4942 -2.6538 -1.1667  -0.393
H: -3.5683 -4.2280 -0.4026  0.356
H: -5.2610 -3.5152 -2.8669  0.321
H: -3.6795 -4.3107 -2.9620  0.414
H: -5.0289 -5.1252 -2.1763  0.334
C: 4.8628 5.4423 -0.2646  -1.206
C: 5.2334 4.3971 0.7834  -0.530
C: 5.4813 2.9705 0.3174  -0.584
N: 4.3356 2.1993 -0.3083  0.269
C: 4.2482 2.5265 -1.7836  -0.539
C: 3.0345 1.9228 -2.4696  -0.761
C: 1.7463 2.2859 -1.7381  -0.894
C: 1.8497 1.8477 -0.2840  0.110
C: 3.0353 2.4929 0.3993  -1.073
C: 4.6608 0.7457 -0.1546  -1.027
H: 3.8634 5.2993 -0.6779  0.332
H: 4.8756 6.4319 0.1893  0.391
H: 5.5754 5.4506 -1.0916  0.325
H: 4.5132 4.4042 1.6029  0.374
H: 6.1851 4.6824 1.2379  0.426
H: 5.7960 2.3763 1.1743  0.407
H: 6.2838 2.9390 -0.4213  0.392
H: 4.2364 3.6111 -1.8586  0.335
H: 5.1796 2.1627 -2.2171  0.377
H: 3.0285 2.2909 -3.4961  0.447
H: 3.1329 0.8374 -2.5360  0.317
H: 0.8904 1.8133 -2.2168  0.392
H: 1.5841 3.3683 -1.7862  0.320
H: 1.8991 0.7627 -0.2011  -0.418
H: 0.9580 2.1364 0.2739  0.714
H: 3.1638 2.1319 1.4201  0.416
H: 2.9192 3.5747 0.4247  0.470
H: 4.6932 0.5048 0.9045  0.401
H: 5.6307 0.5603 -0.6105  0.366
H: 3.9034 0.1394 -0.6366  0.409



This record from the OMol25 dataset describes a 4-piece molecular cluster, CH11N2O3 overall in a non-equilibrium geometry. The level of theory is ωB97M-V/def2-TZVPD.

The spin multiplicity is 1. The total charge is +1.

Each line ends with the Mulliken charge.
Atoms and positions in Å:
N: 1.2138 0.3132 0.5643  -0.320
C: 0.7324 1.4365 0.0167  0.221
N: -0.5188 1.7794 -0.2342  -0.262
H: 0.6423 -0.2584 1.2288  0.245
____________
== Back to the entry ==
In 1963, Benoît Mandelbrot proposed that instead of following a strict random walk, stock price variations executed a Lévy flight.25 A Lévy flight is a random walk which is occasionally disrupted by large movements. The market continued to decline in value, leaving investors who had purchased stock on credit financially destroyed. This did little more than temporarily stem the tide, however, because from Black Thursday to October 29, 1929 ( Black Tuesday ), stocks still lost more than $26 billion of value and more than 30 million shares traded. When word spread that banks’ assets contained huge uncollectable loans and almost worthless stock certificates, depositors rushed to withdraw their savings.
## Records of molecules that have nothing to do with the piece
(a)
Here is C8H7BrN2O in the gas phase from OMol25. Energies are from ωB97M-V/def2-TZVPD.

Last column: Löwdin charge in e.
Atoms and positions in Å:
C1 -2.137 2.409 0.375  -0.045
N1 -1.216 1.312 0.318  -0.259
C2 0.062 1.459 -0.350  -0.347
O1 0.372 2.554 -0.726  0.098
C3 0.748 0.148 -0.288  -0.079
C4 2.028 -0.283 -0.723  0.021
C5 2.350 -1.630 -0.693  -0.067
C6 1.565 -2.457 0.041  -0.052
C7 0.308 -2.109 0.534  -0.031
C8 -0.080 -0.836 0.258  -0.124
N2 -1.493 0.105 0.774  -0.297
Br1 -2.890 -0.916 -0.252  0.503
H1 -3.108 2.056 0.056  0.046
H2 -2.424 2.519 1.536  0.128
H3 -1.599 3.368 0.019  0.124
H4 2.860 0.258 -1.167  0.123
H5 3.242 -1.931 -1.057  0.079
H6 1.825 -3.410 0.266  0.082
H7 -0.414 -2.614 1.078  0.095

orbital gap: 8.239 eV
lowest unoccupied orbital energy: -0.014 Ha
total charge: 0
SMILES string: Cn1c(=O)c2ccccc2n1Br

***

(b)
Here is C8H7BrN2O in the gas phase from OMol25. Energies are from ωB97M-V/def2-TZVPD.

Last column: Löwdin charge in e.
Atoms and positions in Å:
C1 1.125 -3.148 0.208  -0.053
C2 1.976 -2.059 0.215  -0.013
C3 -0.202 -2.952 -0.246  -0.174
C4 1.446 -0.812 -0.329  -0.342
C5 0.130 -0.756 -0.720  -0.279
C6 0.917 2.037 -0.085  0.206
C7 -0.244 1.563 -0.420  -0.429
C8 -1.536 2.401 -0.333  0.004
N1 -0.651 -1.827 -0.645  0.136
N2 2.268 0.224 -0.612  -0.427
O1 -0.544 0.385 -1.011  0.062
Br1 3.968 0.483 0.071  0.650
H1 1.383 -4.194 0.420  0.106
H2 3.014 -2.093 0.368  0.048
H3 -0.910 -3.764 -0.360  0.105
H4 1.579 2.842 0.487  0.129
H5 -2.117 1.558 0.111  0.103
H6 -1.986 2.640 -1.289  0.082
H7 -1.507 3.288 0.304  0.085

orbital gap (alpha / beta): 7.353 / 6.747 eV
lowest unoccupied orbital energy (alpha / beta): -0.018 / -0.037 Ha
total charge: 0

***

Quick look at relative energies in kJ/mol: (a) 0.0; (b) 218.9.

***

(a)
Here is 2 unconnected molecules or ions with the total composition C4H11NO3 from OMol25. Energies are from ωB97M-V/def2-TZVPD.

Last column: Löwdin charge in e.
Atoms and positions in Å:
O1 -0.150 3.145 -1.546  0.221
C1 -0.533 2.026 -1.495  -0.126
C2 -0.025 1.140 -0.308  -0.298
C3 0.708 -0.101 -0.843  0.010
N1 -1.183 0.906 0.451  0.153
C4 -1.049 0.156 1.721  -0.168
O2 -1.201 -1.224 1.500  0.018
H1 -1.222 1.611 -2.262  0.173
H2 0.716 1.702 0.273  0.173
H3 0.365 -0.490 -1.815  0.113
H4 1.727 0.088 -1.183  0.121
H5 0.641 -0.918 -0.146  0.045
H6 -1.838 0.414 -0.172  0.170
H7 -0.054 0.347 2.095  0.144
H8 -1.826 0.440 2.407  0.143
H9 -1.334 -1.398 0.561  0.097
H10 1.815 -3.187 -0.248  0.049
H11 2.000 -1.955 0.708  0.001
O3 2.443 -2.701 0.304  -0.037

orbital gap (alpha / beta): 10.358 / 5.600 eV
2S+1: 2
lowest unoccupied orbital energy (alpha / beta): -0.163 / -0.338 Ha
total charge: +1

***

(b)
Here is 2 unconnected molecules or ions with the total composition C4H11NO3 from OMol25. Energies are from ωB97M-V/def2-TZVPD.

Last column: Löwdin charge in e.
Atoms and positions in Å:
C1 -0.934 -0.435 -1.264  -0.158
O1 -2.041 0.358 -1.224  0.092
C2 0.175 0.125 -0.264  -0.259
C3 1.559 -0.504 -0.630  -0.057
The stock market crash of 1929 is often associated with stories of investors and traders jumping out of windows after losing everything. As long as the stock market continued to increase in value, these investors did stand to make a profit. The market continued to soar during 1928 and much of 1929, with these twenty-five leading industrial stocks reaching the 452 point mark in early September 1929, almost doubling the stocks’ selling price in less than two years. The average trading volume on NYSE in 2007 was about 3.1 billion shares per day.
[Between two parts of the text: records of molecules]
/*
{"formula": "H20O10", "method": "ωB97M-V with the def2-TZVPD basis set", "elements": ["O", "H", "H", "O", "H", "H", "O", "H", "H", "O", "H", "H", "O", "H", "H", "O", "H", "H", "O", "H", "H", "O", "H", "H", "O", "H", "H", "O", "H", "H"], "xyz": [[3.466, 0.813, 2.157], [3.051, 0.228, 1.540], [4.242, 1.151, 1.704], [0.524, -0.692, 2.055], [1.394, -1.088, 1.763], [-0.112, -1.389, 2.336], [-2.620, -0.546, -0.164], [-2.146, -1.358, -0.026], [-3.427, -0.837, -0.561], [-0.059, 3.104, 1.108], [0.306, 3.753, 0.542], [0.240, 2.291, 0.695], [0.303, -0.001, -2.936], [0.378, 0.528, -2.147], [-0.663, 0.086, -3.052], [2.772, -1.577, 0.730], [2.470, -1.645, -0.154], [3.021, -2.425, 1.103], [0.239, -2.265, -1.476], [-0.586, -2.502, -1.940], [0.696, -1.710, -2.034], [0.097, 0.775, -0.083], [-0.613, 0.274, -0.387], [0.356, 0.297, 0.694], [-1.740, 1.116, 2.031], [-2.358, 1.022, 1.306], [-1.250, 0.301, 2.023], [-2.269, 0.889, -2.371], [-2.581, 0.402, -1.616], [-3.120, 1.007, -2.841]], "atomic_forces_ev_per_a": [[0.370, 0.659, 0.720], [-0.159, -0.540, -0.599], [0.014, 0.025, -0.034], [0.077, -1.033, 0.413], [-1.198, -0.030, 0.350], [1.189, 0.463, -0.304], [0.082, 0.274, 0.321], [0.664, -0.631, 0.190], [-1.148, -0.358, -0.162], [-0.245, 0.006, 0.855], [0.560, 1.324, -0.750], [-0.433, -0.328, 0.007], [-0.583, -0.150, -0.648], [0.660, 0.513, 0.751], [0.312, -0.080, -0.345], [0.431, 0.645, 1.666], [-0.521, -0.628, -1.330], [0.048, -0.214, -0.432], [-2.269, -2.874, 2.424], [0.857, 0.235, 0.152], [1.235, 2.419, -2.381], [2.002, 1.240, -1.070], [-2.050, -1.008, -0.941], [0.401, -0.531, 1.117], [-0.682, 0.221, 0.591], [-0.073, 0.106, -0.110], [0.343, -0.170, 0.114], [-1.294, 0.412, -1.355], [0.524, -0.271, 0.932], [0.885, 0.305, -0.142]], "nbo_charge": [-0.94, 0.47, 0.46, -0.99, 0.51, 0.48, -0.95, 0.49, 0.48, -0.95, 0.44, 0.48, -0.99, 0.49, 0.49, -0.96, 0.50, 0.50, -0.97, 0.47, 0.49, -0.97, 0.47, 0.49, -0.92, 0.47, 0.45, -0.96, 0.47, 0.47], "total_energy_ev": -20799.1017, "e_above_lowest_kj_mol": 338.8, "e_homo_ev": -9.645, "smiles": "O.O.O.O.O.O.O.O.O.O", "orbital_gap_ev": 9.155}

***
*/
The 500 largest U.S. companies as measured by their market capitalization are included in this index, which is compiled by the credit rating agency Standard & Poor’s. The Dow Jones even managed to claw its way back up partially between November 1929 and early 1930s. From there it spread throughout the western economy, bringing almost every market to its knees. It occurred on Black Tuesday, October 29, the day the stock market experienced the greatest crash in its history. Throughout a bear market, the only thing that affects a company’s falling share price is the downturn in economic and market conditions. If you can generate increasing and steady profits, investors generally reward you with higher stock prices.
When enough sellers offload a stock because of their own fear of loss based on something they’ve heard, it will cause the price of that stock to drop. Based upon the idea that a cooling off period would help dissipate investor panic, these mandatory market shutdowns are triggered whenever a large pre-defined market decline occurs during the trading day. Bear markets are periods of declining stock market prices that are measured in months or years. The mechanism works by means of central banks buying bonds in the stock market or directly from banks.